100vw Horizontal Scrollbar

You'd think that 100vw would fill the viewport and no more, but that's not always true. Sometimes it overflows horizontally.

The mystery

Inserted here: data records.
1.
First-principles (GGA+U) data for a relaxed structure of ZnNiP4O12, as listed in Materials Project.

```
36
Lattice="0.7618 -7.0200 1.6889 2.1631 -0.6280 6.9022 -7.2315 -3.3596 6.0631" Properties=species:S:1:pos:R:3 pbc="T T T"
O -1.8490 -3.6931 4.0214
O -0.5439 -1.6171 3.2382
O 0.0846 -6.6545 9.2458
Ni 1.0816 -0.3140 3.4511
O -5.2553 -4.4173 7.8324
O -1.4465 -7.3011 7.3859
O -2.0711 -6.4822 5.0488
P -1.6845 -3.8481 8.3537
P -0.5448 -3.0439 3.7662
O 0.6590 -6.1359 3.8903
O -4.3912 -4.3531 5.4084
O -0.6878 -4.8761 7.6079
Zn -3.3303 -3.4660 11.1899
O 0.3476 -3.8879 2.7187
O 0.2985 -3.0765 5.1363
P -4.1371 -4.6167 6.8850
P 1.6580 -2.4495 5.7403
P -0.1695 -6.3909 7.7692
O -3.6187 -6.1315 7.0463
O -4.6051 -7.9311 9.5179
O -3.2693 -8.4830 6.1906
O -2.8601 -3.7065 7.2683
P -2.6221 -7.1595 6.3005
O 1.4087 -1.9576 7.1110
P -3.7618 -7.9637 10.8880
O -3.7627 -9.3905 11.4159
O -2.4575 -7.3145 10.6328
Zn -0.9763 -7.5416 3.4643
O -4.9656 -4.8717 10.7639
O -4.6542 -7.1197 11.9354
O 0.9487 -6.5903 6.8218
O -2.2355 -4.5254 9.6054
O -1.0373 -2.5246 8.4636
Ni -3.2348 -5.1898 3.8760
O -5.7153 -9.0500 7.5432
P -5.9645 -8.5582 8.9139
```

Calculated values
space-group type = C2/c
energy with MP2020 corrections = -263.63 eV for the cell shown
VASP energy = -6.72 eV/atom

=====

2.
First-principles (GGA+U) data for a relaxed structure of ZnNi3P4O14, as listed in Materials Project.

```
44
Lattice="7.4935 0.0000 0.0000 0.0000 7.2373 0.0000 0.0000 3.6117 8.7691" Properties=species:S:1:pos:R:3 pbc="T T T"
P 4.3154 3.7155 1.7857
O 6.5820 5.1703 7.6566
O 1.6185 3.2249 7.5418
O 2.1282 1.4190 3.1572
Ni 0.0000 0.0000 0.0000
Zn 3.7468 5.4245 4.3845
O 5.3151 3.0925 0.8071
O 0.9115 5.6787 1.1125
O 3.9928 5.1874 1.6714
O 6.6300 9.0774 7.9032
O 2.8809 3.0568 1.5029
O 2.8352 7.4846 5.4971
Zn 0.0000 3.6187 0.0000
O 4.6102 7.2716 3.5186
O 6.6277 5.9864 2.8816
O 5.8750 7.6241 1.2273
O 5.3653 9.4300 5.6118
Ni 2.7844 5.9745 0.1973
P 5.9358 7.4095 2.7425
P 0.5686 5.3277 2.5989
P 1.5577 3.4395 6.0266
O 0.8658 4.8627 5.8875
O 4.6583 3.3644 3.2720
P 6.9249 5.5213 6.1702
O 0.2461 3.8558 2.7131
P 5.3045 9.2154 7.1271
O 4.3773 10.2206 7.8097
O 2.1784 7.7566 7.9620
O 7.2474 6.9932 6.0559
O 0.8635 1.7716 0.8659
P 3.1782 7.1336 6.9834
Ni 0.9623 7.7803 4.5818
Ni 6.5312 3.0687 4.1873
O 1.5683 5.9507 3.5775
O 3.5007 5.6617 7.0977
O 3.1162 0.6284 0.9594
P 2.1890 1.6336 1.6420
O 4.6126 7.7922 7.2662
Ni 3.7468 1.8058 4.3845
O 6.8629 8.4148 3.4251
O 0.6306 2.4342 5.3440
O 2.8833 3.5774 5.2504
Ni 4.7091 4.8745 8.5718
O 5.9252 4.8983 5.1916
```

Calculated values
space-group type = P2_1/c
energy with MP2020 corrections = -316.85 eV for the cell shown
VASP energy = -6.42 eV/atom

=====

3.
First-principles (GGA+U) data for a relaxed structure of NiPbO3, as listed in Materials Project.

```
5
Lattice="3.8106 0.0000 0.0000 0.0000 3.8106 0.0000 0.0000 0.0000 3.8106" Properties=species:S:1:pos:R:3 pbc="T T T"
Ni 1.9053 1.9053 1.9053
O 1.9053 1.9053 0.0000
O 1.9053 0.0000 1.9053
O 0.0000 1.9053 1.9053

Web dev has its share of mysteries to solve. Some days it's amazing anything works at all. Today we had one of those. There were users reporting a horizontal scrollbar. Others didn't see them. On our team, the story was different for different team members. What gives?

For me, there was a horizontal scrollbar on the page. If I removed a width: 100vw element, it went away. It was odd that one could only scroll a little bit, like some UI element must be overflowing unexpectedly. But width: 100vw was one of the only suspects and seemed harmless.

small scrollbar

I changed the CSS to this value:

width: calc(100vw - 15px)

And the scrollbar went away! My teammate did the same and instead got a gap, making the element not full width (because he hadn't had the scroll in the first place).

I ran this code:


Man, the element really was bigger than the viewport! My teammate ran the code, and the values matched. What gives?

The problem

A bit of Googling later, and there was the smoking gun: There was a connection between width: 100vw and scrollbars: Viewport (vw) measurements are not scrollbar aware, so if there's a vertical scrollbar on the page for other reasons, the width: 100vw element will cause a slight horizontal scroll.

This is terrible.

"Sometimes" scrollbars on MacOS

And that difference between users? That is caused by a MacOS optional feature of hiding scrollbars when not scrolling. In this mode, there is not permanent scrollbar gutter. It instead becomes a small overlay scrollbar when scrolling. The teammate who didn't see this problem had the invisible overlay. Others and I had the permanent bar.

To see what you have enabled, go to System Preferences > General

- - -
# 1
Hf2TcOs | the Materials Project | meta-GGA r2SCAN | optimized geometry; space group = Fm-3m, No. 225; V = 68 Å³ per cell; electronic total energy = -43.0312 eV/atom
1.0
0.0000 3.2396 3.2396
3.2396 0.0000 3.2396
3.2396 3.2396 0.0000
Tc Hf Os
1 2 1
Direct
0.7500 0.7500 0.7500
0.0000 0.0000 0.0000
0.5000 0.5000 0.5000
0.2500 0.2500 0.2500

=====

# 2
Na3InS3 | the Materials Project | meta-GGA r2SCAN | optimized geometry; space group = C2/c, No. 15; V = 699 Å³ per cell; electronic total energy = -9.3755 eV/atom
1.0
6.7232 7.9719 0.0176
-6.7232 7.9719 0.0176
0.0000 3.4004 6.5272
Na S In
12 12 4
Direct
0.0101 0.1729 0.4548
0.4385 0.5615 0.7500
0.2776 0.7224 0.2500
0.7701 0.6372 0.4097
0.3628 0.2299 0.0903
0.8271 0.9899 0.0452
0.1729 0.0101 0.9548
0.9899 0.8271 0.5452
0.6372 0.7701 0.9097
0.5615 0.4385 0.2500
0.2299 0.3628 0.5903
0.7224 0.2776 0.7500
0.2950 0.4724 0.1735
0.9953 0.2172 0.8161
0.5276 0.7050 0.3265
0.8850 0.4128 0.2648
0.1150 0.5872 0.7352
0.7050 0.5276 0.8265
0.2172 0.9953 0.3161
0.0047 0.7828 0.1839
0.7828 0.0047 0.6839
0.4128 0.8850 0.7648
0.4724 0.2950 0.6735
0.5872 0.1150 0.2352
0.9165 0.4284 0.9027
0.5716 0.0835 0.5973
0.4284 0.9165 0.4027
0.0835 0.5716 0.0973

=====

# 3
Na3CoO3 | the Materials Project | meta-GGA r2SCAN | optimized geometry; space group = P2_1/c, No. 14; V = 420 Å³ per cell; electronic total energy = -7.4699 eV/atom
1.0
-3.3641 -6.8903 -7.7398
2.9611 1.1300 -2.2930
7.1821 -6.4984 2.6634
O Co Na
12 4 12
Direct
0.6593 0.6381 0.2848
0.5928 0.7709 0.8975
0.1593 0.3619 0.2152
0.9072 0.7709 0.3975
0.4072 0.2291 0.1025
0.1376 0.0321 0.9118
0.8407 0.6381 0.7848
0.3624 0.0321 0.4118
0.0928 0.2291 0.6025
0.8624 0.9679 0.0882
0.6376 0.9679 0.5882
0.3407 0.3619 0.7152
0.1908 0.1885 0.7454
0.6908 0.8115 0.7546
0.3092 0.1885 0.2454
0.8092 0.8115 0.2546
0.4306 0.9014 0.6350
0.2695 0.5036 0.4808
0.0153 0.2778 0.3842
0.2305 0.5036 0.9808
0.5694 0.0986 0.3650
0.5153 0.7222 0.1158
0.4847 0.2778 0.8842
0.0694 0.9014 0.1350
0.9306 0.0986 0.8650
0.9847 0.7222 0.6158
0.7305 0.4964 0.5192
0.7695 0.4964 0.0192

=====

# 4
K2NaAlAs2 | the Materials Project | meta-GGA r2SCAN | optimized geometry; space group = Ibam, No. 72; V = 326 Å³ per cell; electronic total energy = -9.3545 eV/atom
1.0
-3.2310 3.3775 7.4689
3.2310 -3.3775 7.4689
3.2310 3.3775 -7.4689
K Al As Na
4 2 4 2
Direct
0.5659 0.8250 0.7409
0.4341 0.1750 0.2591
0.9159 0.6750 0.2409
0.0841 0.3250 0.7591
0.0000 0.7500 0.7500
0.0000 0.2500 0.2500
0.7049 0.4062 0.2986
0.2951 0.5938 0.7014
0.1076 0.9062 0.2014
0.8924 0.0938 0.7986
0.5000 0.7500 0.2500
0.5000 0.2500 0.7500

=====

# 5
HoAlGa | the Materials Project | meta-GGA r2SCAN | optimized geometry; space group = P-6m2, No. 187; V = 60 Å³ per cell; electronic total energy = -17.6656 eV/atom
1.0
2.2065 -3.8218 0.0000
2.2065 3.8218 0.0000
0.0000 0.0000 3.5390
Al Ga Ho
1 1 1
Direct
0.0000 0.0000 0.5000
0.3333 0.6667 0.5000
0.6667 0.3333 0.0000

=====

# 6
- - -
== Back to the article ==

system scrollbar options

  • 1st option - has problem
  • 2nd option - doesn't

That's why it's different for different people.

But, hey, you can't dev for the web based on host machine preferences. That would be like going back to the security zones of Internet Explorer!

The fix

Well, I found a fix. There are others, like just hiding overflow. In my case, that wasn't a possible solution.

The solution here is to detect the scrollbar presence with JavaScript and restyle with JavaScript. Egh... Anyway, here it is:

function handleFullWidthSizing() {
  const scrollbarWidth = window.innerWidth - document.body.clientWidth

  document.querySelector('myElementWith100vw').style.width = `calc(100vw - ${scrollbarWidth}px)`

Run that bad boy after render, and you'll be styling and feeling terrible -- but looking nice.

What would really be nice is if the browser that was hosting your web page knew about CSS and its own scrollbars and would adjust width: 100vw to work as expected. Of course, there's probably some other case they're accounting for that I haven't anticipated.

+++
Entry 1:
This record from the Materials Project database describes a relaxed GdB2Os2 crystal. The functional is PBE-GGA.

Calculated formation energy in meV per atom: -466

Cell: 6.690 8.999 9.905 Å, 90.00 90.00 90.00°
Space group Fddd (No. 70, origin choice 2)
Asymmetric unit:
Gd1 0.125 0.125 0.125 (multiplicity 8)
B1 0.125 0.314 0.625 (multiplicity 16)
Os1 0.125 0.125 0.487 (multiplicity 16)

=====

Entry 2:
This record from the Materials Project database describes a relaxed GdB2Os crystal. The functional is PBE-GGA.

Magnetic moment in μB/atom: 1.7250
Calculated formation energy in meV per atom: -527

Cell: 5.922 5.338 6.408 Å, 90.00 90.00 90.00°
Space group Pnma (No. 62)
Asymmetric unit:
Gd1 0.010 0.250 0.163 (multiplicity 4)
B1 0.133 0.582 0.460 (multiplicity 8)
Os1 0.178 0.250 0.684 (multiplicity 4)

=====

Entry 3:
This record from the Materials Project database describes a relaxed GdReB4 crystal. The functional is PBE-GGA.

Calculated formation energy in meV per atom: -571

Cell: 5.994 11.606 3.632 Å, 90.00 90.00 90.00°
Space group Pbam (No. 55)
Asymmetric unit:
Gd1 0.126 0.151 0.000 (multiplicity 4)
Re1 0.132 0.413 0.000 (multiplicity 4)
B1 0.023 0.691 0.500 (multiplicity 4)
B2 0.113 0.547 0.500 (multiplicity 4)
B3 0.137 0.968 0.500 (multiplicity 4)
B4 0.213 0.816 0.500 (multiplicity 4)

=====

Entry 4:
This record from the Materials Project database describes a relaxed Gd3ReB7 crystal. The functional is PBE-GGA.

Magnetic moment in μB/atom: 1.9312
Calculated formation energy in meV per atom: -557

Cell: 3.551 16.018 9.439 Å, 90.00 90.00 90.00°
Space group Cmcm (No. 63)
Asymmetric unit:
Gd1 0.000 0.105 0.061 (multiplicity 8)
Gd2 0.000 0.244 0.750 (multiplicity 4)
Re1 0.000 0.054 0.750 (multiplicity 4)
B1 0.000 0.273 0.032 (multiplicity 8)
B2 0.000 0.368 0.150 (multiplicity 8)
B3 0.000 0.459 0.750 (multiplicity 4)
B4 0.000 0.478 0.095 (multiplicity 8)

=====

Entry 5:
This record from the Materials Project database describes a relaxed GdB2Ru2 crystal. The functional is PBE-GGA.

Calculated formation energy in meV per atom: -537

Cell: 6.619 9.005 9.846 Å, 90.00 90.00 90.00°
Space group Fddd (No. 70, origin choice 2)
Asymmetric unit:
Gd1 0.125 0.125 0.125 (multiplicity 8)
B1 0.125 0.311 0.625 (multiplicity 16)
Ru1 0.125 0.125 0.487 (multiplicity 16)

=====

Entry 6:
This record from the Materials Project database describes a relaxed GdB2Ru3 crystal. The functional is PBE-GGA.

Calculated formation energy in meV per atom: -460

Cell: 5.5309 5.5309 3.0327 Å, 90.00 90.00 120.00°
Space group P6/mmm (No. 191)
Asymmetric unit:
Gd1 0.0000 0.0000 0.0000 (multiplicity 1)
B1 0.3333 0.6667 0.0000 (multiplicity 2)
Ru1 0.0000 0.5000 0.5000 (multiplicity 3)

=====

Entry 7:
This record from the Materials Project database describes a relaxed GdVB4 crystal. The functional is PBE-GGA.

Magnetic moment in μB/atom: 1.1644
Calculated formation energy in meV per atom: -678

Cell: 6.025 11.669 3.473 Å, 90.00 90.00 90.00°
Space group Pbam (No. 55)
+++

Anyone have a better solution? ...please.